You have the ability to make a serious difference in a child’s life.
Donate and help a child today!
Hope Center rescues vulnerable children, gives them a safe place to live, with the ultimate goal of reuniting the child with a loving family member. Our goal is to meet all the needs of the child, putting them on a path forward that allows for a healthy and full life.
Your donation helps us provide food, clothing, medical care and a safe place for each child to call home.
Your donation also supports our efforts to provide the children with an education. Any support helps bridge the gap in our ability to care for the child with our staff and the educational opportunities each child has by attending school. School fees are an additional cost. As each child grows, our goal is to be able to provide them with the ability to go to school.
Check out the stories of some of our children at the Hope Center and donate today to make a lasting impact in their lives.
Baby Collins
Age: 1 year old
He joined HCU on 2/09/2024 as a result of negligence and was severely malnourished. He was left with his grandmother of 95 years old who was unable to care for him. He was suffering from malnutrition and immediately HCU took Collins to hospital, and he was admitted for treatment and after recovery he was discharged back to the center for further care and protection.
Updates: He has greatly improved due to the care and love received from HCU employees by God’s Grace. Healthy and improving and gaining weight as you can witness in the picture above.
Baby Christine
Age: 2 months old
Christine joined HCU on 27/09/2024 at the age of 1 week old. She was found neglected due to the fact that her mother is mentally slow and has severe disability plus the entire family being too poor and is unable to care for the baby. The child was likely to suffer from malnutrition or to lose her life because the mother’s handling was so alarming since she is mentally unstable and no one in the family to help her out.
Updates: Christine’s immunization process is ongoing, looking beautiful and healthy.
Maria Kisakye
Age: 10 months old
Maria was rescued on 13/12/2024 by the police from a mentally ill mother who wanted to kill her. She would hit the baby and throw her to the road. Maria was severely malnourished, had wounds on her back and a swollen cheek. Maria was admitted at the hospital for 6 days for medical attention since she went through so much torture from her mentally ill mother and later was referred to HCU for safe custody and protection by Mubende probation officer.
Rogers Senabulya
Age: 3 years old
Rogers joined the HCU on 30/09/2022 as a result of child abandonment by his parent to a poor grandmother of 82 years and Rogers was neglected due to the fact that the grandmother couldn’t provide child protection services to the child, joined the center severely malnourished with skin infection and was referred to the center by the probation officer.
Unfortunately in 2023 the grandmother of the child died due to aging illness and HCU team went for burial together with the child.
Updates: Rogers has grown tall & big made 3 years old & weighs 16kgs and is progressing on well as trace back activities are ongoing to see if we can identify the child’s paternal family for reunification.
Ramathan Kyamagero
Age: 7 months old
Ramathan joined the HCU on 11/11/2024. He was severely malnourished. His mother died mysteriously and the baby was initiated on Art drugs to prevent him from acquiring HIV. The baby was left with his drunkard father who would take him along to the bars where they would take alcohol together. People got concerned and contacted the Probation Officer who referred the child to HCU for safety and suitable placement.
Age: 2 years old
Alice joined HCU on the 17/11/2022 at a tender age of 6 months old, severely neglected and malnourished by her poor parents. She was born to a discordant couple living in a poverty-stricken environment hardly able to get what to eat for survival. Alice was likely to lose her life but good enough when they took the child to the government hospital for treatment. A doctor got concerned of the child’s situation together with the parent and contacted the office of probation for help hence referring baby Alice to HCU for child protection services.
Health status: At joining the center Alice’s situation was alarming, severely malnourished with eye infection & skin rushes and was introduced to nutrition support to help her boost her immune system. Alice was kept on Nevirapine syrup to prevent her from acquiring HIV/AIDs since was born to a discordant couple.
Updates: Great improvement in Alice’s life is observed, confirmed HIV Negative, looking healthy and good, gained weight and increased body size, she can now crawl and tries to stand with support.
Mirembe Miracle Maria
Age: 8 months old
She joined HCU on 11/06/2024 at the age of 3 months old. Her mother suffers from many health conditions including epilepsy is unable to care for her child and the child was under the care of great grandmother who is also vulnerable and suffers from a hip fracture. The entire family is poor and cannot afford to buy baby formula and other needs and the child is now under the care of HCU.
Updates: Miracle Maria has grown up and is now 8 months old, healthy, likes taking formula and sleeping and sitting in a seater, she is a jolly girl loved by everyone at the center.
Age: 7 months old
Christian joined HCU on 8/03/2024 at the age of 13 days old. He was found abandoned in the hospital. His mother died due to a caesarian section immediately after birth. Grandmother went with her dead body and never wanted to hear about the child (never returned back to the hospital). The baby had no clothes, formula and a caregiver from the hospital contacted the probation officer for help and probation immediately contacted HCU for support.
Updates: Christian is now a 7 months old, grown-up baby, put on body weight and likes taking too much formula and playing with dolls.
Sophia, Shifah & Mariam (Triplets)
Age: 11 months old
Triplet babies joined HCU on the 27/03/2023 at a tender age of 1 month old. They were abandoned and neglected by their own biological father immediately after hearing that his wife had given birth to triplets. He feared responsibility and took off to an unknown location. The poor mother also failed to take care of the babies since she had no food to eat and other basic needs, hence contacting the local leader in the village to see whether she can be helped together with her children. Lucky enough they contacted the office of the probation and children were rescued and referred to the HCU for child protection services.
Updates: All babies are progressing on well, looking good and healthy, they have grown into big girls with no health issues. They like eating too much and taking a lot of drinks and are loved by all caregivers. Poor mother keeps on visiting the center to check on them and she really appreciates HCU a lot for the good work done towards the babies.
John Don
Age: 1 year old
He joined HCU on 14/11/2023 after being found neglected. He was rescued by a USA team of visitors together with HCU team during the field visit in one of the villages of Mityana district at a tender age of 2 months old. He was severely malnourished & neglected by his poor drunkard mother. Social worker took action of reporting the case to government authorities in the area and later on the child was referred by the government to HCU for support and medical attention to help him regain his health and normal growth & development like any other child.
John’s Health background: He received a referral from Mityana general hospital to Mulago special care children unit Kampala for further treatment. Reaching Mulago, John was diagnosed with cerebral palsy and was put on a nutrition supplement. Later on, while still admitted at Mulago hospital doctors referred John to Mulago Heart institute department to screen his heart and the results indicated that John’s heart was affected with small holes. John spent 3 weeks while admitted and receiving different treatment at Mulago hospital and we thank God he was discharged back to the center safely.
Updates: John (DON) on 12/09/2024 was confirmed the small holes (ASD –Atrial septal defect) were closed.
Age: 1 year old
Shakim joined HCU on 22/11/2023 at a tender age of 3 months old as a result of abandonment & child neglect by his poor mother of Mityana and his biological father moved to unknown location. The child was referred to HCU severely malnourished, underweight and was admitted at Mityana general hospital in pediatric ward for treatment. Shakim is an exposed infant, born pre-mature and is kept on Neverapine syrup to prevent him from acquiring HIV since his mother is HIV Positive. He was referred by the probation officer to HCU to receive child protection services.
Updates: the child is progressing on well, has put on weight, looking healthy with good appetite of formula milk.
Suubi Joseph
Age: 8 months old
Joseph joined HCU on the 1/02/2024 after being abandoned by his biological mother and moved to unknown location. Joseph was rescued by the local leaders and took him to Mityana police for more investigation and further help. Immediately Mityana police contacted the probation officer to look for a suitable home for baby Joseph and was referred to HCU for child protection services as police does its investigation.
Updates: Joseph is progressing while under HCU care. He likes to be lifted/carried all the time, has good appetite of formula milk and soft foods.
Mwesigwa Henry
Age: 1 year old
Henry was enrolled into HCU at the age of 2 weeks old after being rescued from a mentally ill mother as a result of child neglect. During this period of time, his health status was so alarming and in very bad condition. He received care and treatment while under the care of HCU.
He was born on the estimated date of 01/01/2023 and referred at HCU on the 11/01/2023 by the government.
Updates: Henry is progressing well, looks healthy and good, weighs 10kgs, and likes taking formula milk and soft food.
Ethan Galiwango
Age: 2 years old
Ethan joined HCU on the 17/10/2023 as a result of child abuse (Assault and torture evidenced by wounds and sores in his back) the child was abused by his paternal grandfather. Neighbors around got concerned and informed the local leaders around and the case was reported to the police, the grandfather was put in jail and Ethan was referred to HCU for medical attention and care.
Updates: Ethan received treatment and general body checkups and is now progressing on well, weighs 12kg. Looks healthy and good, gained back his smile unlike before. Likes playing with bears.
Edward Ajuna
Age: 3 years old
Edward joined HCU on 30/08/2023, after being abandoned & neglected alone in the house at the age of 2 years old and his parents moved to an unknown place. A Good Samaritan lady contacted the local leader around the village about the case who later on informed the office of the probation and the child was referred to the Hope Center for safe custody.
Updates: Edward is progressing on well, gained weight (15kg), looking healthy and good, likes playing with the fellows around the center and making unique poses.
• Here the entry breaks off for materials data:
<<<
# 1
Pa2PdBr8, optimized geometry, DFT PBE-GGA; mass density = 4.3 g/cm3; uncorrected energy = -4.50 eV/atom; formation energy from raw total energies = -1088 meV/atom; total moment = 2.0 Bohr magnetons per cell
1.0
6.624 -4.216 0.000
6.624 4.216 0.000
-0.988 0.000 8.289
Pa Pd Br
2 1 8
Direct
0.117 0.117 0.320
0.883 0.883 0.680
0.000 0.000 0.000
0.103 0.103 0.667
0.137 0.614 0.864
0.320 0.320 0.411
0.386 0.863 0.136
0.614 0.137 0.864
0.680 0.680 0.589
0.863 0.386 0.136
0.897 0.897 0.333

=====

# 2
Al2Cr4C, optimized geometry, DFT PBE-GGA; mass density = 5.3 g/cm3; uncorrected energy = -7.90 eV/atom; E_form = -0.02 eV per atom; total moment = 0.2 Bohr magnetons per cell
1.0
6.668 0.000 0.000
0.000 8.978 0.000
0.000 0.000 2.856
Al Cr C
4 8 2
Direct
0.059 0.134 0.000
0.441 0.634 0.000
0.559 0.366 0.000
0.941 0.866 0.000
0.141 0.691 0.500
0.173 0.419 0.000
0.327 0.919 0.000
0.359 0.191 0.500
0.641 0.809 0.500
0.673 0.081 0.000
0.827 0.581 0.000
0.859 0.309 0.500
0.000 0.500 0.500
0.500 0.000 0.500

=====

# 3
Sm5Dy6Tm2, optimized geometry, DFT PBE-GGA; mass density = 8.1 g/cm3; uncorrected energy = -4.53 eV/atom; E_form = 0.10 eV per atom; total moment = 0.0 Bohr magnetons per cell
1.0
11.608 0.000 0.000
0.000 20.435 0.000
0.000 0.000 3.578
Sm Dy Tm
10 12 4
Direct
0.000 0.000 0.000
0.085 0.272 0.000
0.198 0.551 0.000
0.302 0.051 0.000
0.415 0.772 0.000
0.500 0.500 0.000
0.585 0.228 0.000
0.698 0.949 0.000
0.802 0.449 0.000
0.915 0.728 0.000
0.061 0.419 0.500
0.081 0.131 0.500
0.174 0.861 0.000
0.326 0.361 0.000
0.419 0.631 0.500
0.439 0.919 0.500
0.561 0.081 0.500
0.581 0.369 0.500
0.674 0.639 0.000
0.826 0.139 0.000
0.919 0.869 0.500
0.939 0.581 0.500
0.171 0.710 0.500
0.329 0.210 0.500
0.671 0.790 0.500
0.829 0.290 0.500

=====

# 4
YPaPbAu, optimized geometry, DFT PBE-GGA; mass density = 11.5 g/cm3; uncorrected energy = -5.95 eV/atom; E_form = -0.21 eV per atom; total moment = 2.6 Bohr magnetons per cell
1.0
0.000 3.743 3.743
3.743 0.000 3.743
3.743 3.743 0.000
Y Pa Pb Au
1 1 1 1
Direct
0.000 0.000 0.000
0.500 0.500 0.500
0.750 0.750 0.750
0.250 0.250 0.250

=====

# 5
Sr2TbPbO6, optimized geometry, DFT PBE-GGA; mass density = 6.7 g/cm3; uncorrected energy = -6.39 eV/atom; formation energy from raw total energies = -2246 meV/atom; total moment = 2.2 Bohr magnetons per cell
1.0
5.997 0.000 0.000
0.000 6.144 0.000
-5.955 0.000 8.533
Sr Tb Pb O
4 2 2 12
Direct
0.235 0.048 0.250
0.235 0.452 0.750
0.765 0.548 0.250
0.765 0.952 0.750
0.500 0.000 0.000
0.500 0.500 0.500
0.000 0.000 0.500
0.000 0.500 0.000
0.145 0.212 0.944
0.145 0.288 0.444
0.236 0.705 0.945
0.236 0.795 0.445
0.350 0.043 0.746
0.350 0.457 0.246
0.650 0.543 0.754
0.650 0.957 0.254
0.764 0.205 0.555
0.764 0.295 0.055
0.855 0.712 0.556
0.855 0.788 0.056

=====

# 6
>>>
Emmanuel & Paul
Age: 1 year old
Emmanuel and Paul twin brothers joined HCU on 18/03/2023 as a result of negligence from their mentally ill mother, who used to move with them along the road sides minus food and drinks. These kids were likely to lose their life if no help was received. People got concerned and they contacted the probation officer for further help hence being referred to HCU to receive child protection services.
Updates: both are progressing well. They receive treatment and general body check, with good appetite of food and drinks, they have no health issues.
Joseph Nsanja
Age: 2 years old
Joseph was enrolled at HCU on 18/03/2022 after being rescued from a mentally ill parent who wanted to kill him due to their mental disorder. A relative contacted the local leaders around in the area about the child’s situation and after they informed the probation officer to look for a suitable placement of the child and the child was referred to HCU for child protection services.
Updates: Joseph is progressing well, very funny baby boy, looks healthy and good, gained weight and weighs 16kg, likes football and swinging, singing and dancing with the fellows, likes putting on different colors of saddle shoes.
Age: 1 years old
Nanyonjo Kisakye (Grace) 1 year and 8 months old girl joined HCU on 2-25-25. She was rescued from a mentally ill father who was beating her and said he wanted to slaughter her because the child's mother, who is also mentally unstable, divorced him. A good Samaritan man found this man abusing the child and removed the child from him and took him to the village Local Leader for protection and later on the local leader called HCU for help.
Kizza Carlos
Age: 2 years old
Carlos joined HCU on the 30/11/2022 after being abandoned by his mother to a poor grandmother severely malnourished and grandmother later on failed to take care of the child hence the child being neglected. Good Samaritan lady got concerned of the situation the child was going through and informed HCU social worker and after social worker’s observation, she went further informing the probation officer about the child’s situation hence being referred to HCU for further support.
Health status of Carlos: At joining the center Carlos was born with physical disability (club foot) and was severely malnourished. HCU introduced Carlos into a friendly organization, Chance for Children School of Disabled Children, where he is receiving therapy services and walking support like shoes to help his legs to be like of any other normal children.
Updates: Under HCU Care, Carlos’s health status has greatly improved and pleasing now he can walk well with his legs as we continue taking him for therapies up to agreeable recommended period of the physiotherapist
Pius Kwagala
Age: 2 years old
Pius joined HCI on the 14/11/2022 as a result of abandonment and neglected child by his own biological parent to a poor sickly grandmother who failed to take care of the child and good Samaritan lady got concerned of the situation the child was going through together with his poorly grandmother and contact the authority hence the child being referred to HCU for further help.
Updates: Pius is progressing on well under the care of HCU, looks healthy, good and lovely, likes making fun with the caregivers and is loved by everyone at the center
Jonah Timo
Age: 3 years old
Background Jonah Timo joined HCU on the 23/9/2022 at the age of 1 yr old weighing 5kg as a result of child neglect and torture. Timo’s mother abused her son through denial of rights; like right to eat, play, participation, clothing, parenting to mention but a few, locked him in the house alone from morning to evening while she went to the bar. Neighbors around got concerned about the child’s situation because he was almost losing life and approached the HCU social worker about the child’s life. The Social worker intervened in the case and went further informing the government officers hence the child being referred to HCU for further help.
Health status: At joining the center Jonah’s health was alarming, almost losing his life. He was very tiny, severely malnourished with a strong cough and later when HCU took him for medical attention the child was examined TB Positive and immediately was initiated on TB drugs every day for six months.
Updates: Fortunately, baby Jonah gained life &weight (13kg) as you can observe in the picture above and after the treatment was confirmed TB Negative.
Shafic Lurama
Age: 2 years old
Shafic joined HCU on the 6/12/2022 because of child neglect. He was born to a teen named Harriet (mother) at the age of 16 years old and it’s said that the mother of Shafic was defiled by unknown man during COVID 19 season. The father of the child is unknown, and the young mother failed to provide support to the child hence government intervention and the child was referred to HCU for child protection services.
Health status: At joining the center Shafic’s health status was so alarming at almost losing life. He was severely malnourished, body swollen and used to spend his time crying because his entire body was dehydrated and paining him so much whenever being touched.
Updates: Shafic gained life and is progressing on well, got all the required treatment and by God’s Grace has recovered from all the pain he was experiencing, and his body is now like any other normal child. He has good appetite of food and drinks and is a lovely and gentle humble baby boy.
Polyn Mirembe
'''
Entry one
A relaxed SrNb2Ni2 crystal. Source: the Alexandria database, functional PBE-GGA.

a = 8.104 Å, b = 8.104 Å, c = 2.765 Å
α = 90.00°, β = 90.00°, γ = 90.00°
Fractional coordinates of all 10 atoms:
1 Sr 0.000 0.000 0.000
2 Nb 0.876 0.376 0.500
3 Ni 0.167 0.333 0.000
4 Ni 0.667 0.167 0.000
5 Ni 0.833 0.667 0.000
6 Nb 0.624 0.876 0.500
7 Sr 0.500 0.500 0.000
8 Nb 0.124 0.624 0.500
9 Ni 0.333 0.833 0.000
10 Nb 0.376 0.124 0.500

Properties
SG ... P4/mbm


Entry two
A relaxed SrNb2Ni2 crystal. Source: the Alexandria database, functional PBE-GGA.

a = 4.619 Å, b = 4.619 Å, c = 5.796 Å
α = 66.52°, β = 66.52°, γ = 90.00°
Fractional coordinates of all 5 atoms:
1 Ni 0.750 0.250 0.500
2 Nb 0.647 0.647 0.705
3 Nb 0.353 0.353 0.295
4 Sr 0.000 0.000 0.000
5 Ni 0.250 0.750 0.500

Properties
SG ... I4/mmm


Entry three
A relaxed SrNb2Ni2 crystal. Source: the Alexandria database, functional PBE-GGA.

a = 4.147 Å, b = 4.147 Å, c = 6.437 Å
α = 71.21°, β = 71.21°, γ = 90.00°
Fractional coordinates of all 5 atoms:
1 Ni 0.388 0.388 0.225
2 Nb 0.250 0.750 0.500
3 Sr 0.000 0.000 0.000
4 Nb 0.750 0.250 0.500
5 Ni 0.612 0.612 0.775

Properties
SG ... I4/mmm


entry three is favored, and the nearest alternative lies 0.120 eV/atom above it.


Entry one
A relaxed SrNbNi2 crystal. Source: the Alexandria database, functional PBE-GGA.

a = 4.677 Å, b = 4.677 Å, c = 4.677 Å
α = 60.00°, β = 60.00°, γ = 60.00°
Fractional coordinates of all 4 atoms:
1 Nb 0.500 0.500 0.500
2 Ni 0.750 0.750 0.750
3 Sr 0.000 0.000 0.000
4 Ni 0.250 0.250 0.250

Properties
SG ... Fm-3m


Entry two
A relaxed SrNbNi2 crystal. Source: the Alexandria database, functional PBE-GGA.

a = 7.204 Å, b = 7.204 Å, c = 6.102 Å
α = 53.82°, β = 53.82°, γ = 90.00°
Fractional coordinates of all 8 atoms:
1 Sr 0.250 0.750 0.500
2 Ni 0.875 0.942 0.750
3 Nb 0.000 0.000 0.000
4 Ni 0.375 0.308 0.750
5 Nb 0.750 0.250 0.500
6 Sr 0.500 0.500 0.000
7 Ni 0.692 0.125 0.250
8 Ni 0.058 0.625 0.250

Properties
SG ... I-42d


entry one is favored, and the nearest alternative lies 0.080 eV/atom above it.


Entry one
A relaxed SrNb2Ni crystal. Source: the Alexandria database, functional PBE-GGA.

a = 4.916 Å, b = 4.916 Å, c = 9.600 Å
α = 75.17°, β = 75.17°, γ = 90.00°
Fractional coordinates of all 8 atoms:
1 Nb 0.375 0.625 0.750
2 Nb 0.375 0.625 0.250
3 Sr 0.750 0.250 0.500
4 Sr 0.000 0.000 0.000
5 Ni 0.250 0.750 0.500
6 Nb 0.875 0.625 0.750
7 Ni 0.500 0.500 0.000
8 Nb 0.375 0.125 0.250

Properties
SG ... I4_1/amd


Entry two
A relaxed SrNb2Ni crystal. Source: the Alexandria database, functional PBE-GGA.

a = 4.721 Å, b = 4.721 Å, c = 4.721 Å
α = 60.00°, β = 60.00°, γ = 60.00°
Fractional coordinates of all 4 atoms:
1 Ni 0.000 0.000 0.000
2 Nb 0.250 0.250 0.250
3 Nb 0.750 0.750 0.750
4 Sr 0.500 0.500 0.500

Properties
SG ... Fm-3m


entry one is favored, and the nearest alternative lies 0.038 eV/atom above it.
'''
Age: 2 years old
Baby Polyn joined HCU on the 23/09/2022 after being abandoned and laid under a lantern camara tree in a blue polythene bag and her umbilical cord was tied up with a peg. Polyn was abandoned by unknown person/mother at a tender age of 1 day old with no identification at all. The case was reported to local leaders and police, then one of the community leaders contacted the probation officer to go and rescue the abandoned baby and the child was referred to HCU for child protection services.
Updates: Polyn is progressing well, looks good and healthy, strong, energetic and is a tough baby girl loved by everyone at the center. No one has ever turned up to claim the child. HCU together with the government managed to identify for her a foster mother who will be taking care of her with time to come.
Justine Nankitu
Age: 1 year old
Justine joined HCU on the 26/07/2023 as a result of abandonment by her own biological mother to a poor grandmother at a tender age of 2 months old. Local leader got concerned about the child’s life and they contacted the probation officer for further help hence referring the child to HCU for child protection services.
Health status: At joining the center Justine’s health was not in good condition, very tiny baby. She had skin rushes, cough and flu.
Updates: Justine got treatment, and good care. She is now looking good and healthy, with a good appetite for formula and soft foods. Poor Grandmother keeps on visiting the center to check on her.
Andrew Kaweesa
Age: 2 years old
Andrew joined HCU on the 3-13-2025. He was found severely malnourished and needed proper care and medical treatment. He was living with his HIV positive alcoholic mother.
Mukisa Elijah
Age: 4 days old
Baby Elijah joined HCU on the 3-22-2025. He was rescued by the police from a mentally ill mother who wanted to kill him.